Twelve cases of epizootic lymphangitis were reported from the Remount
Depot, Ahmednagar, and from Bombay City.

                                 Bovine contagious disease.

6.  Rinderpest was reported from all the districts except Belgaum. The
number of deaths recorded was 6,870 against 8,597 last year. This disease
was confined chiefly to the Northern and Central Divisions. An extensive
outbreak swept the Gujarat districts, Ahmedabad and Kaira suffering severely.
The outbreak reached its zenith in September, October and November and
gradually subsided in the last month of the year, only 99 deaths were recorded
in Kaira, Broach and Surat.

********
Record 1
First-principles (PBE-GGA) data for a relaxed structure of Na5PrO6, as listed in the Materials Project database.

Unit cell a=6.0273 b=6.0273 c=11.3638 alpha=94.76 beta=94.76 gamma=120.27
Fractional positions:
Na (0.1742, 0.3263, 0.5023)
Na (0.6737, 0.8258, 0.9977)
O (0.5997, 0.1062, 0.8688)
O (0.4780, 0.2890, 0.3697)
O (0.7110, 0.5220, 0.1303)
Na (0.9161, 0.0839, 0.7500)
Na (0.0839, 0.9161, 0.2500)
O (0.8938, 0.4003, 0.6312)
Na (0.5000, 0.0000, 0.5000)
Na (0.0000, 0.5000, 0.0000)
Na (0.8258, 0.6737, 0.4977)
Na (0.4199, 0.5801, 0.2500)
Pr (0.2475, 0.7525, 0.7500)
O (0.4003, 0.8938, 0.1312)
O (0.9743, 0.7923, 0.8712)
Pr (0.7525, 0.2475, 0.2500)
Na (0.5801, 0.4199, 0.7500)
O (0.0257, 0.2077, 0.1288)
O (0.7923, 0.9743, 0.3712)
O (0.5220, 0.7110, 0.6303)
Na (0.3263, 0.1742, 0.0023)
O (0.1062, 0.5997, 0.3688)
O (0.2077, 0.0257, 0.6288)
O (0.2890, 0.4780, 0.8697)

Computed properties:
- energy of formation from the pure elements (meV per atom) = -1688
- SG = No. 15



Record 2
First-principles (PBE-GGA) data for a relaxed structure of CaEuSi4, as listed in the Materials Project database.

Unit cell a=7.4265 b=7.4265 c=7.4265 alpha=146.61 beta=146.61 gamma=47.95
Fractional positions:
Si (0.4155, 0.4155, 0.0000)
Si (0.6654, 0.1654, 0.5000)
Ca (0.2500, 0.7500, 0.5000)
Si (0.5845, 0.5845, 0.0000)
Si (0.8346, 0.3346, 0.5000)
Eu (0.0000, 0.0000, 0.0000)

Computed properties:
- energy of formation from the pure elements (meV per atom) = -397
- SG = No. 119



Record 3
First-principles (PBE-GGA) data for a relaxed structure of Na4Ca2Sc2SiS5O24, as listed in the Materials Project database.

Unit cell a=9.1382 b=9.1090 c=23.2922 alpha=89.99 beta=90.03 gamma=119.86
Fractional positions:
O (0.8716, 0.5214, 0.4223)
O (0.4605, 0.3021, 0.7429)
O (0.5195, 0.8397, 0.0734)
S (0.3590, 0.3370, 0.0819)
O (0.8910, 0.3613, 0.6385)
O (0.1402, 0.4846, 0.5796)
O (0.1185, 0.6559, 0.3628)
S (0.6640, 0.0181, 0.0822)
O (0.3367, 0.4583, 0.3666)
O (0.8347, 0.5596, 0.0378)
Na (0.3145, 0.6605, 0.1600)
S (0.2880, 0.2814, 0.7489)
O (0.5161, 0.8475, 0.7470)
O (0.8044, 0.9946, 0.6871)
O (0.9940, 0.2106, 0.3023)
O (0.3114, 0.8543, 0.9628)
O (0.4856, 0.3504, 0.4196)
O (0.4747, 0.1363, 0.9203)
O (0.6934, 0.5352, 0.2455)
Na (0.0227, 0.0054, 0.5041)
O (0.5390, 0.6904, 0.2468)
O (0.0408, 0.8313, 0.4198)
O (0.6947, 0.5671, 0.5323)
O (0.1425, 0.6827, 0.7534)
O (0.8097, 0.8305, 0.9135)
O (0.2959, 0.4473, 0.7525)
O (0.6387, 0.1281, 0.4220)
O (0.1480, 0.4611, 0.9626)
Sc (0.9998, 0.9944, 0.6480)
Sc (0.6574, 0.3185, 0.6810)
Ca (0.6753, 0.3393, 0.9872)
O (0.9151, 0.5444, 0.1479)
O (0.8058, 0.7906, 0.2990)
Si (0.7084, 0.0048, 0.7447)
O (0.4655, 0.1476, 0.2460)
O (0.0182, 0.8133, 0.6990)
O (0.8321, 0.0317, 0.8012)
O (0.3554, 0.8402, 0.5789)
S (0.9911, 0.7054, 0.7502)
O (0.0299, 0.1954, 0.9122)
O (0.1703, 0.9985, 0.5940)
O (0.1833, 0.9946, 0.2027)
O (0.3297, 0.4670, 0.4712)
O (0.7938, 0.9737, 0.4211)
S (0.3256, 0.9669, 0.9136)
O (0.3424, 0.8936, 0.8587)
Si (0.3584, 0.0265, 0.5815)
********

In Poona district a severe outbreak was prevalent at the beginning of the
year entailing heavy mortality in the hilly tracts of Junnar taluka.

Thana, and to a less extent Kolaba district, suffered considerably as usual,
and there was a sharp outbreak in the Malegaon taluka of the Nasik district.

The Southern districts were comparatively free except for a few sporadic

7.  Foot and mouth disease was prevalent as usual in all the districts and
accounted for 343 deaths out of 9,285 animals reported to have been attacked.

8.  Hæmorrhagic Septicæmia was reported from 15 districts, Kaira, Kolaba
and Belgaum suffering most. The total recorded mortality was 724 against
689 last year.

9.  Black-quarter accounted for 214 deaths in six districts of which 146
were reported from Poona district.

10.  Anthrax was reported from 12 districts and 283 deaths were reported.

11.  Other contagious diseases include variola and infectious lymphangitis
in cattle.

The latter disease is recorded for the first time in the Presidency and was
found to be prevalent to some extent in the Kanara district where 74 animals
were attacked and 14 died.

The nature of this disease is under investigation by the Imperial Bacterio-
logist to whom material was sent for the purpose. Meanwhile cases are being
treated by surgical means.

                    Contagious diseases in others animals.

**What comes next are data records, not part of the text**
~~~
Entry from the Materials Project database: a relaxed YTi4Cu3O12 crystal (GGA-PBE).

```
data_YTi4Cu3O12
_space_group_name_H-M_alt 'I m -3'
_space_group_IT_number 204
_space_group_name_Hall '-I 2 2 3'
_cell_length_a 7.4697
_cell_length_b 7.4697
_cell_length_c 7.4697
_cell_angle_alpha 90.00
_cell_angle_beta 90.00
_cell_angle_gamma 90.00
loop_
_atom_site_label
_atom_site_type_symbol
_atom_site_fract_x
_atom_site_fract_y
_atom_site_fract_z
Y1 Y 0.0000 0.0000 0.0000
Ti1 Ti 0.2500 0.2500 0.2500
Cu1 Cu 0.0000 0.0000 0.5000
O1 O 0.0000 0.2956 0.1762
```

Computed properties:
Energy of formation = -269 kJ/mol of atoms
Energy = -7.86 eV/atom

Entry from the Materials Project database: a relaxed Y2Ti12Cu9O36 crystal (GGA-PBE).

```
data_Y2Ti12Cu9O36
_space_group_name_H-M_alt 'P -3'
_space_group_IT_number 147
_cell_length_a 10.5005
_cell_length_b 10.5005
_cell_length_c 6.4478
_cell_angle_alpha 90.00
_cell_angle_beta 90.00
_cell_angle_gamma 120.00
loop_
_space_group_symop_operation_xyz
'x,y,z'
'-x,-y,-z'
'-y,x-y,z'
'y,-x+y,-z'
'-x+y,-x,z'
'x-y,x,-z'
loop_
_atom_site_label
_atom_site_type_symbol
_atom_site_fract_x
_atom_site_fract_y
_atom_site_fract_z
Y1 Y 0.3333 0.6667 0.3286
Ti1 Ti 0.0000 0.0000 0.5000
Ti2 Ti 0.0000 0.5000 0.5000
Ti3 Ti 0.1582 0.3189 0.1635
Ti4 Ti 0.3333 0.6667 0.8406
Cu1 Cu 0.0000 0.5000 0.0000
Cu2 Cu 0.1678 0.3356 0.6629
O1 O 0.0174 0.1641 0.3294
O2 O 0.0438 0.2686 0.9124
O3 O 0.0767 0.4511 0.2505
O4 O 0.1179 0.7076 0.4148
O5 O 0.1763 0.5261 0.6470
O6 O 0.1928 0.6835 0.0177
```

Computed properties:
Energy of formation = -262 kJ/mol of atoms
Energy = -7.77 eV/atom

~~~~~

# V2OF5

A relaxed structure of V2OF5 (r2SCAN, Materials Project).

energy above the lowest structure with this stoichiometry: 1 meV per atom
DFT total energy: -9.34 eV per atom
total magnetic moment: 3.000 μB/f.u.
symmetry: P1
E_form: -3.114 eV per atom

Cell lengths 5.0990, 5.3007, 16.9006 Å; angles 83.35, 81.39, 61.47 degrees
With the nearest neighbours (Å) after each atom.
Fractional coordinates of all 32 atoms:
1 V 0.0000 0.0000 0.0000  1 O 1.68
2 V 0.0956 0.1200 0.6260  1 O 1.86, 5 F 1.90-1.99
3 V 0.2549 0.2173 0.2477  1 O 1.86, 5 F 1.89-2.01
4 V 0.3520 0.3450 0.8782  1 O 1.86, 5 F 1.90-1.99
5 V 0.4595 0.4952 0.4922  1 O 1.68
6 V 0.6151 0.6314 0.1290  1 O 1.68
7 V 0.7522 0.7062 0.7449  1 O 1.68
8 V 0.8731 0.8459 0.3753  1 O 1.86, 5 F 1.89-2.00
9 O 0.1875 0.1808 0.9604  2 V 1.68-1.86
10 O 0.2416 0.6437 0.4171  2 V 1.68-1.86
11 O 0.5210 0.9065 0.1865  2 V 1.68-1.86
12 O 0.9874 0.4336 0.6867  2 V 1.68-1.86
13 F 0.0179 0.0219 0.2860  2 V 1.92-1.94
14 F 0.0190 0.3849 0.1591  2 V 1.92-1.95
15 F 0.1927 0.7752 0.5675  2 V 1.91-1.99
16 F 0.2186 0.8070 0.0913  2 V 1.93-1.95
17 F 0.2701 0.6597 0.9394  2 V 1.91-1.96
18 F 0.2752 0.2498 0.5338  2 V 1.91-1.96
19 F 0.4488 0.0427 0.8103  2 V 1.91-2.03
20 F 0.4601 0.0725 0.3406  2 V 1.90-2.00
21 F 0.4607 0.4359 0.2160  2 V 1.89-1.98
22 F 0.4838 0.9097 0.6620  2 V 1.90-1.95
23 F 0.4994 0.5332 0.7872  2 V 1.93-1.99
~~~

12.  No deaths under this head were reported by the revenue officials
except 8 cases of sheep-pox. Diseases of sheep and goats are not reported by
the revenue officials, but from reports of the staff there seems to be a considerable
mortality amongst them from contagious pneumonia.

Seventy-six cases of rabies in dogs were dealt with by the Veterinary
Staff and 41 brains were sent to the Bacteriological Laboratory, Parel, for

Spirochœtosis and avian Diphtheria in Poultry were reported from
Dharwar and Fowl Cholera from Dharwar and Panch Mahals.

13.  In previous reports reference has been made to the incomplete nature
of these statistics. This year no mortality statistics were received from the
revenue officials in regard to 551 outbreaks, including Surra 11, Rinderpest 181,
Foot and Mouth 208, Hæmorrhagic Septicæmia 96, Black-quarter 21 and
Anthrax 17. Our figures therefore give a very inadequate idea of the actual
mortality and in view of the attention that is being called to the depletion of
herds a more accurate means of appreciating the influence of contagious disease
in this respect would seem desirable.

# What comes next are materials data, not part of the entry
-- begin --
1.
ZrTcCl | Materials Project | PBE | relaxed; calculated volume = 17.9 Å³/atom; total magnetization = 0.001 μB/f.u.; final energy = -6.30 eV/atom; energy of formation = 1.23 eV per formula unit
1.0
-1.319 0.874 3.928
-4.130 -0.134 0.926
-1.519 -3.094 2.461
Zr Tc Cl
1 1 1
Cartesian
-3.484 -1.177 3.658
0.000 0.000 0.000
-5.226 -1.766 5.486

---

2.
Te2Cl | Materials Project | PBE | relaxed; calculated volume = 34.4 Å³/atom; final energy = -2.96 eV/atom; energy of formation = -1.35 eV per formula unit
1.0
3.998 0.000 0.000
0.000 12.837 0.000
0.000 0.000 16.105
Te Cl
16 8
Cartesian
1.000 1.012 1.511
2.999 11.825 14.593
2.999 7.430 6.541
1.000 5.407 9.564
1.000 8.994 2.971
2.999 3.843 13.133
2.999 2.576 5.081
1.000 10.261 11.024
1.000 9.476 6.796
2.999 3.360 9.309
2.999 3.058 1.256
1.000 9.779 14.848
1.000 0.626 4.516
2.999 12.210 11.588
2.999 7.045 3.536
1.000 5.792 12.569
1.000 4.988 0.934
2.999 7.849 15.171
2.999 11.406 7.119
1.000 1.430 8.986
1.000 4.576 5.537
2.999 8.260 10.568
2.999 10.995 2.515
1.000 1.842 13.589

---

3.
Tl2TeCl6 | Materials Project | PBE | relaxed; calculated volume = 31.0 Å³/atom; final energy = -2.92 eV/atom; energy of formation = -11.02 eV per formula unit
1.0
-0.417 6.831 2.639
6.084 3.465 2.187
2.634 5.614 -3.919
Tl Te Cl
2 1 6
Cartesian
2.075 3.978 0.227
6.225 11.933 0.680
0.000 0.000 0.000
1.838 7.386 1.560
5.130 5.682 1.331
3.171 10.228 -0.424
6.463 8.524 -0.653
3.382 6.770 -1.761
4.918 9.141 2.667

---

4.
ZrTe2Cl12 | Materials Project | PBE | relaxed; calculated volume = 33.7 Å³/atom; total magnetization = 0.000 μB/f.u.; final energy = -3.47 eV/atom; energy of formation = -22.38 eV per formula unit
1.0
-11.441 20.819 -10.995
-16.846 20.028 -0.579
-6.388 25.348 -1.388
Zr Te Cl
6 12 72
Cartesian
-12.961 24.742 -4.845
-4.377 8.355 -1.636
-21.714 41.452 -8.118
-26.006 49.646 -9.722
-30.298 57.839 -11.327
-8.669 16.549 -3.241
-15.430 37.564 -7.094
-14.435 31.756 -2.774
-16.691 22.925 -4.523
-23.510 39.780 -11.479
-19.245 28.630 -5.869
-17.984 43.270 -8.440
-11.165 26.415 -1.484
-14.038 30.706 -9.195
-11.114 25.055 -8.562
-20.637 35.488 -3.768
-23.561 41.139 -4.401
-20.240 34.439 -10.189
-15.969 22.145 -2.419
-17.100 27.895 -6.495
-26.701 51.272 -7.954
-23.880 46.155 -6.584
-12.270 23.920 -2.595
-23.006 34.756 -9.356
-18.706 44.050 -10.544
-22.404 42.275 -10.368
-6.658 8.944 -0.821
-23.921 42.109 -7.160
-20.762 43.686 -7.552
-9.356 18.178 -1.473
-25.318 48.017 -11.490
-19.776 33.528 -8.065
-18.992 27.696 -3.130
-15.683 38.498 -9.833
-4.912 9.256 -3.899
-18.459 34.922 -4.469
-25.065 51.514 -11.093
-13.489 29.655 -7.164
-16.520 32.404 -1.878
-18.154 33.790 -11.085
-21.874 49.432 -12.076
-28.735 46.018 -11.155
-16.193 35.454 -7.814
-25.801 44.500 -9.898
-16.216 31.273 -8.494
-15.049 29.575 -3.403
-8.874 21.694 -3.065
-15.237 25.388 -4.017
-14.899 32.667 -4.898
-6.455 16.287 -2.108
-12.801 16.762 -0.887
-21.127 40.525 -5.864
-19.912 29.431 -7.987
-13.913 22.508 -5.411
-23.789 49.385 -8.596
-12.584 19.839 -2.614
-- stop --

                              Preventive measures.

Table III.

14. The number of inoculations against rinderpest amounted to 24,432.
These were carried out in only 205 outbreaks out of
444 outbreaks which were attended by the Staff.

In the outbreaks in which inoculation was performed 3,978 un-inoculated
animals and 202 inoculated animals died.